Monthly Archives: December 2011

Inky Boudoir [Tattooed Bride Blog]

Today I bring to Marry Me Ink, a stunning boudoir shoot from the wonderful Billingham Photography.

When I came across Adrian & Cat’s pictures of Gemma,  I was so excited! Boudoir is definitely a great gift to surprise your OH with pre-wedding, post wedding, for an an anniversary, oh hell, you don’t need an excuse! I see it as a great way to get to show off all of those tattoos! 

My favourite is Gemma’s chest piece.. I have one in mind scrawled on a to do list somewhere..

“This is Gemma, she was recently tattooed in this shoot, she had developed a bug’ for ink with the intention of further adding to her designs. 
This ‘boudoir’ style shoot took place in Gemma’s home which was minimalist with amazing natural light filtering through the windows, the neutral tones were the perfect background to show the fiery red hair combined with the amazing tattoos, the ‘No Regrets’ tattoo on her forearm was the exact way she felt about her new love of ink.
We really enjoyed this shoot as it is so far removed from what is ‘usual’ and expected in boudoir photography, tattooed women are so wonderful to photograph, Gemma was so confident with herself since having ink, she explained that it gave her new confidence after having her ‘daughter’. We offer boudoir shoots with a difference, we shoot in your own home or at a location of your choice, for more information on Boudoir shoots, contact us for individual quotes. 
We also shoot weddings and are on the lookout for tattooed couples, check out our website for more information.”

Sheesh! How gorgeous is Gemma?!! Especially all of her intricate inkings! I spot another favourite.. The sugar skull!
Do leave Adrian, Cat & Gemma some love – They totally deserve it! – Rach.XX

## Data records, kept here for reference
~~~
Mg2AsRh2 | PBE | optimized geometry

Unit cell a=6.3292 b=6.3292 c=4.2487 alpha=90.00 beta=90.00 gamma=90.00
Positions (direct):
1 Rh 0.1536 0.3464 0.0000
2 Mg 0.1601 0.6601 0.5000
3 Rh 0.6536 0.1536 0.0000
4 As 0.0000 0.0000 0.0000
5 Rh 0.3464 0.8464 0.0000
6 Rh 0.8464 0.6536 0.0000
7 Mg 0.6601 0.8399 0.5000
8 Mg 0.8399 0.3399 0.5000
9 Mg 0.3399 0.1601 0.5000
10 As 0.5000 0.5000 0.0000

Calculated values
**Formation enthalpy at 0 K**: -0.5082 eV/atom
**Magnetic moment**: 0.0 μB per formula unit
**Space-group type**: P4/mbm (127)

* * * * *

(A)
# CaTe2Rh

A PBEsol-optimized structure of CaTe2Rh (meta-GGA SCAN, Alexandria via LeMat-Bulk).

abc: 4.029 5.134 5.136
angles: 106.05 90.00 90.00
Fractional coordinates of all 4 atoms:
Te  0.000  0.301  0.199
Te  0.000  0.699  0.801
Rh  0.500  0.500  0.000
Ca  0.500  0.000  0.500

***

(B)
# CaTe2Rh

A PBEsol-optimized structure of CaTe2Rh (meta-GGA SCAN, Alexandria via LeMat-Bulk).

abc: 4.331 4.629 5.967
angles: 90.00 111.27 90.00
Fractional coordinates of all 4 atoms:
Rh  0.195  0.500  0.016
Te  0.815  0.500  0.255
Te  0.099  0.000  0.822
Ca  0.391  0.000  0.407

***

How do the energies compare? Relative to the most stable structure, in meV per atom: (A) 48; (B) 0.

***

(A)
# TcIr2Pt

A PBEsol-optimized structure of TcIr2Pt (meta-GGA SCAN, Alexandria via LeMat-Bulk).

abc: 2.712 3.831 5.470
angles: 90.00 90.00 90.00
Fractional coordinates of all 4 atoms:
Ir  0.000  0.000  0.259
Ir  0.000  0.000  0.741
Tc  0.500  0.500  0.500
Pt  0.500  0.500  0.000

***

(B)
# TcIr2Pt

A PBEsol-optimized structure of TcIr2Pt (meta-GGA SCAN, Alexandria via LeMat-Bulk).

abc: 2.713 2.713 7.725
angles: 90.00 90.00 90.00
Fractional coordinates of all 4 atoms:
Pt  0.500  0.500  0.000
Tc  0.500  0.500  0.500
Ir  0.000  0.000  0.261
Ir  0.000  0.000  0.739

***

How do the energies compare? Relative to the most stable structure, in meV per atom: (A) 12; (B) 0.

***

(A)
# TeIr2Cl

A PBEsol-optimized structure of TeIr2Cl (meta-GGA SCAN, Alexandria via LeMat-Bulk).

abc: 2.917 4.995 5.420
angles: 116.91 104.78 91.74
Fractional coordinates of all 4 atoms:
Te  0.000  0.000  0.000
Ir  0.500  0.500  0.500
Ir  0.000  0.000  0.500
Cl  0.500  0.500  0.000

***

(B)
# TeIr2Cl

A PBEsol-optimized structure of TeIr2Cl (meta-GGA SCAN, Alexandria via LeMat-Bulk).

abc: 3.057 3.057 9.456
angles: 80.70 80.70 60.00
Fractional coordinates of all 4 atoms:
Te  0.485  0.485  0.545
Cl  0.271  0.271  0.187
Ir  0.739  0.739  0.782
Ir  0.005  0.005  0.986

***

How do the energies compare? Relative to the most stable structure, in meV per atom: (A) 441; (B) 0.

***

(A)
# BeZnRh2

A PBEsol-optimized structure of BeZnRh2 (meta-GGA SCAN, Alexandria via LeMat-Bulk).

abc: 2.824 2.824 5.910
angles: 90.00 90.00 90.00
Fractional coordinates of all 4 atoms:
Rh  0.000  0.000  0.274
Rh  0.000  0.000  0.726
Zn  0.500  0.500  0.000
Be  0.500  0.500  0.500

***

(B)
# BeZnRh2

A PBEsol-optimized structure of BeZnRh2 (meta-GGA SCAN, Alexandria via LeMat-Bulk).
~~~

Red Gets Wed – Guest Post [Tattooed Bride Blog]

Today I bring you something MAJOR!

Today is the day I get to introduce you to one heck of a lady!
It’s amazing how social networking plays such a HUGE part in connecting with potential ideas for posts and people like this lady..

A gorgeous bride-to-be whom goes by the name of RED. We got chit-chatting through Twitter – and there an online friendship began. From the red of her hair to the tips of her high-heels, this lady is not one to be missed. Red has her own pre-wedding blog where she posts about all of her wedding goings – over at Little Red Briding Hood. From her surprise bridal shower to visiting wedding fairs with her H2B, Red has quite a knack of making her wedding planning experiences into an epic story land!

As we got chattering more & more, Red stated she had a proposition for myself as the Marry Me Ink lady.. “I know it’s usually inked brides that are your bag petal, but how would you feel about a bride to be guest blogging for ya, GETTING body pretty?”.. Seriously – I SQUEALED with excitement! I had never been so excited about a proposition before!

With that in mind, here I shall hand you over to Lady Red herself.. Enjoy my lovelies!

Search for ‘wedding tattoos’ on t’internet and a plethora of laser removal firms and clever cover-up creams saturate the screen. It seems us decorated brides are expected to hide our pride and joys for walking down the aisle. So why the hell would a girl book in for a beast of a back piece six months before her big day, one may ask? Because inked brides kick conventional ass, that’s why! 

Let me introduce myself before I babble any further. My name’s Red, I’m engaged, and I’m a tat-addict. Admiring the designs of beautiful, strong women has been a favoured past-time of mine since I was old enough to legally bear the needle myself. Like many admirers of embellished skin, I was lured into the world of tattoos with the appeal of expressing my tortured teenage soul through body art. A decade later, and through the other side of my adolescent angst (thank feck!), my love for the tattoo has sustained and blossomed. 

~~~
Nb2Zn3O8 | OQMD | PBE-GGA | optimized geometry; DFT total energy = -6.90 eV/atom; magnetization = 0.0 Bohr magnetons per cell
1.0
9.5240 -2.9684 0.0000
9.5240 2.9684 0.0000
-0.0190 0.0000 5.2234
Nb Zn O
4 6 16
direct
0.0508 0.7210 0.7401
0.2790 0.9492 0.7599
0.7210 0.0508 0.2401
0.9492 0.2790 0.2599
0.1243 0.4327 0.2417
0.3470 0.6530 0.2500
0.4327 0.1243 0.7417
0.5673 0.8757 0.2583
0.6530 0.3470 0.7500
0.8757 0.5673 0.7583
0.0462 0.8171 0.0785
0.0811 0.2813 0.5542
0.1649 0.4502 0.8726
0.1829 0.9538 0.4215
0.2813 0.0811 0.0542
0.3206 0.5624 0.5844
0.4376 0.6794 0.9156
0.4502 0.1649 0.3726
0.5498 0.8351 0.6274
0.5624 0.3206 0.0844
0.6794 0.4376 0.4156
0.7187 0.9189 0.9458
0.8171 0.0462 0.5785
0.8351 0.5498 0.1274
0.9189 0.7187 0.4458
0.9538 0.1829 0.9215

FeCoAsW | OQMD | PBE-GGA | optimized geometry; DFT total energy = -8.01 eV/atom; magnetization = 1.5 Bohr magnetons per cell
1.0
0.0000 2.9593 2.9593
2.9593 0.0000 2.9593
2.9593 2.9593 0.0000
Fe Co As W
1 1 1 1
direct
0.0000 0.0000 0.0000
0.2500 0.2500 0.2500
0.7500 0.7500 0.7500
0.5000 0.5000 0.5000

AcSmPO | OQMD | PBE-GGA | optimized geometry; DFT total energy = -6.75 eV/atom; magnetization = 0.0 Bohr magnetons per cell
1.0
4.4849 0.0000 0.0000
0.0000 7.7526 0.0000
0.0000 0.0000 6.2730
Ac Sm P O
2 2 2 2
direct
0.0000 0.2026 0.0000
0.0000 0.7974 0.5000
0.5000 0.3811 0.5601
0.5000 0.6189 0.0601
0.0000 0.1819 0.4971
0.0000 0.8181 0.9971
0.5000 0.3404 0.9264
0.5000 0.6596 0.4264

TbLuPbC | OQMD | PBE-GGA | optimized geometry; DFT total energy = -6.03 eV/atom; magnetization = 0.0 Bohr magnetons per cell
1.0
3.6069 0.0000 0.0000
-1.8035 3.1237 0.0000
0.0000 0.0000 16.0020
Tb Lu Pb C
2 2 2 2
direct
0.0000 0.0000 0.1699
0.0000 0.0000 0.8301
0.3333 0.6667 0.3341
0.3333 0.6667 0.6659
0.0000 0.0000 0.5000
0.3333 0.6667 0.0000
0.6667 0.3333 0.2551
0.6667 0.3333 0.7449

RbPaO3 | OQMD | PBE-GGA | optimized geometry; DFT total energy = -7.73 eV/atom; magnetization = 0.0 Bohr magnetons per cell
1.0
3.1213 1.8021 5.1001
-3.1213 1.8021 5.1001
0.0000 -3.6041 5.1001
Rb Pa O
2 2 6
direct
0.2500 0.2500 0.2500
0.7500 0.7500 0.7500
0.0000 0.0000 0.0000
0.5000 0.5000 0.5000
0.2364 0.7500 0.2636
0.2500 0.7364 0.7636
0.2636 0.2364 0.7500
0.7364 0.7636 0.2500
0.7500 0.2636 0.2364
0.7636 0.2500 0.7364

Al2ZnBi | OQMD | PBE-GGA | optimized geometry; DFT total energy = -2.92 eV/atom
1.0
0.0000 3.5130 3.5130
3.5130 0.0000 3.5130
3.5130 3.5130 0.0000
Al Zn Bi
2 1 1
direct
0.0000 0.0000 0.0000
0.2500 0.2500 0.2500
0.7500 0.7500 0.7500
0.5000 0.5000 0.5000


(1)
Below is a relaxed LaPrCu2Ge2 crystal, with properties calculated at the GGA-PBE level.

abc: 4.3320 4.3320 8.0417
angles: 90.00 90.00 120.00
Element x y z (fractional)
La: 0.0000 0.0000 0.5000
Pr: 0.0000 0.0000 0.0000
Cu: 0.3333 0.6667 0.7567
Cu: 0.6667 0.3333 0.2433
Ge: 0.3333 0.6667 0.2471
Ge: 0.6667 0.3333 0.7529
~~~

It’s strange to think that up until the 90s, tattoos, especially on the female form, hovered on the periphery of society. It wasn’t socially acceptable for women to lay their inked skin bare, often considered ‘unladylike’, and associated with society’s rebels, namely biker chicks and Vegas strippers. The industry was very much a man’s world. But in 1993, Jennifer Leroy graced Playboy’s centrefold showing off a visible tattoo to readers (does one ‘read’ Playboy?) for the first time, and by the end of the decade, artistic flesh really came into mainstream culture for women. Celebrities jumped on the inked band wagon, with one feisty female in particular rebelling against the tattoo taboo by publically displaying her ornate designs on the *shock horror* red carpet! The delectable Angelina Jolie, who surely is the source of every girl crush across the world, declared her love for Billy Bob Thornton via flesh. And while I’m not a huge fan of the a-lister’s choice of tattoo designs, I’m eternally grateful to her for igniting my initial curiosity and subsequent fascination of needle to skin which now features so heavily in my life.



Between two parts of the entry: calculated crystals =
<<<
The following is a DFT calculation (PBE) of a relaxed structure of Hf2Sc4Au3N3.

## Properties
Its raw total energy is -188.2 eV per cell. As for the density: 10.19 g/cm³.

Cell: 5.604 5.604 14.387 Å, 101.26 101.26 60.05°
Element x y z (fractional)
Hf 0.029 0.858 0.588
Hf 0.142 0.971 0.912
Hf 0.858 0.029 0.088
Hf 0.971 0.142 0.412
Sc 0.196 0.368 0.090
Sc 0.307 0.466 0.410
Sc 0.368 0.196 0.590
Sc 0.466 0.307 0.910
Sc 0.534 0.693 0.090
Sc 0.632 0.804 0.410
Sc 0.693 0.534 0.590
Sc 0.804 0.632 0.910
Au 0.083 0.244 0.749
Au 0.244 0.083 0.249
Au 0.411 0.589 0.750
Au 0.589 0.411 0.250
Au 0.756 0.917 0.751
Au 0.917 0.756 0.251
N 0.000 0.500 0.500
N 0.161 0.678 0.000
N 0.322 0.839 0.500
N 0.500 0.000 0.000
N 0.678 0.161 0.500
N 0.839 0.322 0.000


Rb2LaTa: optimized geometry, PBE.

DFT formation energy	1356	meV per atom

Unit cell a=4.616 b=4.616 c=28.357 alpha=90.00 beta=90.00 gamma=90.00
Space group I-42d (No. 122)
Inequivalent atoms, fractional coordinates:
Rb 0.247 0.250 0.125 x8
La 0.000 0.000 0.500 x4
Ta 0.000 0.000 0.000 x4

TaIn2As: optimized geometry, PBE.

DFT formation energy	137	meV per atom

Unit cell a=11.362 b=2.954 c=5.366 alpha=90.00 beta=106.75 gamma=90.00
Space group Cm (No. 8)
Inequivalent atoms, fractional coordinates:
Ta 0.000 0.000 0.000 x2
In 0.250 0.000 0.858 x2
In 0.464 0.000 0.493 x2
As 0.185 0.500 0.308 x2


Li2TbLu after structural relaxation, computed with PBE-GGA. Values from VASP.

Geometry as Quantum ESPRESSO input:
```
&SYSTEM
  ibrav = 0, nat = 4, ntyp = 3
/
ATOMIC_SPECIES
Li 6.94 Li.upf
Lu 174.97 Lu.upf
Tb 158.93 Tb.upf
ATOMIC_POSITIONS crystal
Li 0.2500 0.2500 0.2500
Lu 0.5000 0.5000 0.5000
Li 0.7500 0.7500 0.7500
Tb 0.0000 0.0000 0.0000
CELL_PARAMETERS angstrom
5.2029 0.0000 0.0000
2.6015 4.5059 0.0000
2.6015 1.5020 4.2482
```

Values from the calculation:
Total DFT energy (no corrections) = -3.0847 eV/atom
ΔH_f (0 K) = 0.1600 eV/atom
Space-group type = Fm-3m
Magnetization = 0.000 Bohr magnetons per cell
E above lowest polymorph = 0.0014 eV/atom



UAl2Au after structural relaxation, computed with PBE-GGA. Values from VASP.

Geometry as Quantum ESPRESSO input:
```
&SYSTEM
  ibrav = 0, nat = 4, ntyp = 3
/
ATOMIC_SPECIES
Al 26.98 Al.upf
U 238.03 U.upf
Au 196.97 Au.upf
ATOMIC_POSITIONS crystal
Al 0.0000 0.5000 0.0000
Al 0.0000 0.0000 0.5000
U 0.5000 0.0000 0.0000
Au 0.5000 0.5000 0.5000
CELL_PARAMETERS angstrom
-3.5612 -2.3728 0.5235
2.3978 -3.2864 1.4157
-0.3801 1.4606 4.0344
```

Values from the calculation:
Total DFT energy (no corrections) = -5.5894 eV/atom
ΔH_f (0 K) = -0.0767 eV/atom
Space-group type = P4/mmm
Magnetization = 2.723 Bohr magnetons per cell



NbZnGa after structural relaxation, computed with PBE-GGA. Values from VASP.

Geometry as Quantum ESPRESSO input:
```
&SYSTEM
  ibrav = 0, nat = 3, ntyp = 3
/
ATOMIC_SPECIES
Zn 65.41 Zn.upf
Ga 69.72 Ga.upf
Nb 92.91 Nb.upf
ATOMIC_POSITIONS crystal
Zn 0.6202 0.6202 0.2404
Ga 0.2791 0.2791 0.5581
Nb 0.9507 0.9507 0.9014
CELL_PARAMETERS angstrom
>>>
The entry goes on =


But even now, when many tattoo artists admit that more women grace their chair than men, us girls often tend to go for the dinkier designs. Stars, dolphins, foreign lettering, flowers….for some, a discreetly diminutive motif is the desirable, but for others (me included) once we dip our toe into that vast pool of ink, we graduate to the grander scale of pieces. And that’s where my journey has taken me. From losing my tat virginity aged 18 with an ickle rainbow on the bottom of my leg (because clearly my preferred choice, the ankle, would’ve been far too sore so I opted for a more meaty surface area) when I was petrified of needles, to my ambitious plans for a seventh in honour of my immense love for my future husband – I’m officially hooked!

When all I had was a mere rainbow and cluster of dark stars in my late teens I remember clarting on the aforementioned tattoo concealer as bridesmaid for my Mum, scared of the elders casting their disapproving peepers over my ‘ruined skin’. Not that it did much good as clearly these chemists haven’t quite cracked covering-up solid black ink! But for my own wedding the story couldn’t be more different. When I met my hubster-to-be eight years ago, not to over-share here, but he was totally turned on by my rocky edge and sprawling tattoos.  Unfortunately, despite my continual pestering, his appreciation of tattoos ends with me and he’ll forever be an unmarked canvas. So I’m having this back piece for the both of us…to represent our journey up til’ now, and the amazing days that lie ahead growing old together. 

Photograph of one of my six tattoos, my guardian angel.

The icing on the wedding cake is that I’m being inked up by none other than Kevin ‘The Captain’ Younger of Lucky Cat Tattoo Parlour (Glasgow). The reason it’s such an honour is because this legendary creator of amazingness is Simon-actual-Neil’s – lead singer of Biffy Clyro and all-round music marvel – tattoo artist of choice who’s covered him head to toe in envious tats. The mere mention of my hero and ultimate crush Mr Neil (sorry fiancé!) turns me into a sweaty mess. From the moment my roommate played me the song Questions and Answers in our first year of University many moons ago I’ve pretty much morphed into arguably one of their biggest fans. *Geek alert* dare I admit that only today did I pimp my new ride with a ‘Mon the Biff’ superfan sticker! And it’s their entire repertoire that’s filtered through my headphones while doing this post (a required writing ritual)! Not to mention the fact that Scotland’s greatest export penned one of the most gorgeous lyrics ever written, providing the focal point for my new tattoo…

“nothing lasts forever, except you and me”

                                                                                                Mountains, Biffy Clyro (Only Revolutions)

L-R Simon Neil (Biffy Clyro) with tattoo artist Kevin Younger (Lucky Cat Tattoo Parlour)
Source: Miss Frenchie via Frenchie Ooh La La

So on 4 February 2012, after three hours of needlework (does it ever get any less sore…?) a little piece of ‘us’ will be imprinted on me forever. Not in a creepy, werewolf/Twilight way (!!), but in the kind of way that shows a boy how much his girl loves him. And with the world’s bestest wedding blogs now proudly presenting beautified brides in all their tattooed glory – Marry Me Ink at the fabulous forefront – what better time than to shun the camouflage and keep on covering bare skin with art.

Can’t wait to share my wedding tat with all you deliciously decorated ladies. So til’ then just remember, tats are for life, not just for Christmas!

Red xo

SEE!! Isn’t see AMAZING?!!!!  Leave Red lots of love! She is one fantastical lady! – Rach.XX